File
~~~
TbSbIr (GGA-PBE, optimized geometry); crystal system = orthorhombic; uncorrected energy = -6.769 eV per atom
1.0
-3.7525 -2.1199 1.4007
3.7701 -3.1812 5.2856
-1.6371 6.0921 4.8343
Tb Sb Ir
4 4 4
Direct
0.2500 0.5141 0.1908
0.7500 0.4859 0.8092
0.7500 0.9859 0.6908
0.2500 0.0141 0.3092
0.2500 0.6757 0.5881
0.7500 0.3243 0.4119
0.7500 0.8243 0.0881
0.2500 0.1757 0.9119
0.2500 0.7919 0.9106
0.7500 0.2081 0.0894
0.7500 0.7081 0.4106
0.2500 0.2919 0.5894

~~~~~

No. 1
Here is a relaxed structure of SmP5O14 from the Materials Project database. Energies are from PBE-GGA.

Cell and atoms, written as CIF:
```
data_SmP5O14
_symmetry_space_group_name_H-M 'P 1 21/c 1'
_symmetry_Int_Tables_number 14
_symmetry_space_group_name_Hall '-P 2ybc'
_cell_length_a 8.887
_cell_length_b 9.113
_cell_length_c 13.113
_cell_angle_alpha 90.00
_cell_angle_beta 90.30
_cell_angle_gamma 90.00
loop_
_atom_site_label
_atom_site_fract_x
_atom_site_fract_y
_atom_site_fract_z
Sm1 0.224 0.188 0.001
P1 0.005 0.503 0.701
P2 0.184 0.746 0.500
P3 0.257 0.546 0.165
P4 0.268 0.549 0.836
P5 0.496 0.002 0.827
O1 0.029 0.690 0.997
O2 0.086 0.116 0.853
O3 0.088 0.115 0.148
O4 0.098 0.578 0.214
O5 0.120 0.593 0.775
O6 0.213 0.585 0.500
O7 0.268 0.096 0.386
O8 0.274 0.095 0.611
O9 0.279 0.688 0.097
O10 0.288 0.685 0.909
O11 0.374 0.580 0.252
O12 0.401 0.582 0.760
O13 0.418 0.116 0.121
O14 0.420 0.121 0.884
```

## Properties
- volume (Å³/cell) = 1062.0


No. 2
Here is a relaxed structure of SmZnPO from the Materials Project database. Energies are from PBE-GGA.

Cell and atoms, written as CIF:
```
data_SmZnPO
_symmetry_space_group_name_H-M 'R -3 m'
_symmetry_Int_Tables_number 166
_symmetry_space_group_name_Hall '-R 3 2"'
_cell_length_a 3.9641
_cell_length_b 3.9641
_cell_length_c 30.8849
_cell_angle_alpha 90.00
_cell_angle_beta 90.00
_cell_angle_gamma 120.00
loop_
_atom_site_label
_atom_site_fract_x
_atom_site_fract_y
_atom_site_fract_z
Sm1 0.0000 0.0000 0.1193
Zn1 0.0000 0.0000 0.3037
P1 0.0000 0.0000 0.3868
O1 0.0000 0.0000 0.1948
```

## Properties
- volume (Å³/cell) = 420.3
- magnetization (μB per formula unit) = 0.00


No. 3
Here is a relaxed structure of Sn2P2O7 from the Materials Project database. Energies are from PBE-GGA.

Cell and atoms, written as CIF:
```
data_Sn2P2O7
_symmetry_space_group_name_H-M 'P -1'
_symmetry_Int_Tables_number 2
_symmetry_space_group_name_Hall '-P 1'
_cell_length_a 5.391
_cell_length_b 11.770
_cell_length_c 11.881
_cell_angle_alpha 102.18
_cell_angle_beta 99.14
_cell_angle_gamma 98.74
loop_
_atom_site_label
_atom_site_fract_x
_atom_site_fract_y
_atom_site_fract_z
Sn1 0.169 0.349 0.476
Sn2 0.228 0.864 0.968
Sn3 0.269 0.999 0.643
Sn4 0.315 0.556 0.132
P1 0.175 0.220 0.851
P2 0.205 0.769 0.355
P3 0.287 0.616 0.754
P4 0.313 0.173 0.244
O1 0.045 0.770 0.083
O2 0.081 0.251 0.725
O3 0.113 0.583 0.631
O4 0.148 0.756 0.475
O5 0.149 0.181 0.339
O6 0.157 0.125 0.119
O7 0.174 0.691 0.846
O8 0.242 0.097 0.821
O9 0.339 0.671 0.302
O10 0.344 0.894 0.361
O11 0.353 0.504 0.787
O12 0.412 0.316 0.913
O13 0.439 0.312 0.257
O14 0.466 0.893 0.738
```

## Properties
- volume (Å³/cell) = 713.9
- excess energy over the best structure of this formula in the dataset (meV per atom) = 0


No. 4
Here is a relaxed structure of Sn5P2O10 from the Materials Project database. Energies are from PBE-GGA.

Cell and atoms, written as CIF:
```
data_Sn5P2O10
_symmetry_space_group_name_H-M 'P -1'
_symmetry_Int_Tables_number 2
_symmetry_space_group_name_Hall '-P 1'
_cell_length_a 7.290
_cell_length_b 7.323
_cell_length_c 13.236
_cell_angle_alpha 87.92
_cell_angle_beta 86.08
_cell_angle_gamma 61.82
loop_
_atom_site_label
_atom_site_fract_x
_atom_site_fract_y
_atom_site_fract_z
Sn1 0.006 0.303 0.332
Sn2 0.068 0.761 0.369
Sn3 0.193 0.197 0.879
Sn4 0.326 0.695 0.124
Sn5 0.437 0.784 0.640
P1 0.062 0.802 0.896
P2 0.471 0.243 0.623
O1 0.068 0.701 0.213
O2 0.083 0.706 0.006
O3 0.108 0.626 0.820
O4 0.108 0.913 0.646
O5 0.168 0.028 0.112
O6 0.223 0.882 0.878
O7 0.312 0.477 0.613
~~~

Assignment
Could you return everything further up character by character?

Worked solution
TbSbIr (GGA-PBE, optimized geometry); crystal system = orthorhombic; uncorrected energy = -6.769 eV per atom
1.0
-3.7525 -2.1199 1.4007
3.7701 -3.1812 5.2856
-1.6371 6.0921 4.8343
Tb Sb Ir
4 4 4
Direct
0.2500 0.5141 0.1908
0.7500 0.4859 0.8092
0.7500 0.9859 0.6908
0.2500 0.0141 0.3092
0.2500 0.6757 0.5881
0.7500 0.3243 0.4119
0.7500 0.8243 0.0881
0.2500 0.1757 0.9119
0.2500 0.7919 0.9106
0.7500 0.2081 0.0894
0.7500 0.7081 0.4106
0.2500 0.2919 0.5894

~~~~~

No. 1
Here is a relaxed structure of SmP5O14 from the Materials Project database. Energies are from PBE-GGA.

Cell and atoms, written as CIF:
```
data_SmP5O14
_symmetry_space_group_name_H-M 'P 1 21/c 1'
_symmetry_Int_Tables_number 14
_symmetry_space_group_name_Hall '-P 2ybc'
_cell_length_a 8.887
_cell_length_b 9.113
_cell_length_c 13.113
_cell_angle_alpha 90.00
_cell_angle_beta 90.30
_cell_angle_gamma 90.00
loop_
_atom_site_label
_atom_site_fract_x
_atom_site_fract_y
_atom_site_fract_z
Sm1 0.224 0.188 0.001
P1 0.005 0.503 0.701
P2 0.184 0.746 0.500
P3 0.257 0.546 0.165
P4 0.268 0.549 0.836
P5 0.496 0.002 0.827
O1 0.029 0.690 0.997
O2 0.086 0.116 0.853
O3 0.088 0.115 0.148
O4 0.098 0.578 0.214
O5 0.120 0.593 0.775
O6 0.213 0.585 0.500
O7 0.268 0.096 0.386
O8 0.274 0.095 0.611
O9 0.279 0.688 0.097
O10 0.288 0.685 0.909
O11 0.374 0.580 0.252
O12 0.401 0.582 0.760
O13 0.418 0.116 0.121
O14 0.420 0.121 0.884
```

## Properties
- volume (Å³/cell) = 1062.0


No. 2
Here is a relaxed structure of SmZnPO from the Materials Project database. Energies are from PBE-GGA.

Cell and atoms, written as CIF:
```
data_SmZnPO
_symmetry_space_group_name_H-M 'R -3 m'
_symmetry_Int_Tables_number 166
_symmetry_space_group_name_Hall '-R 3 2"'
_cell_length_a 3.9641
_cell_length_b 3.9641
_cell_length_c 30.8849
_cell_angle_alpha 90.00
_cell_angle_beta 90.00
_cell_angle_gamma 120.00
loop_
_atom_site_label
_atom_site_fract_x
_atom_site_fract_y
_atom_site_fract_z
Sm1 0.0000 0.0000 0.1193
Zn1 0.0000 0.0000 0.3037
P1 0.0000 0.0000 0.3868
O1 0.0000 0.0000 0.1948
```

## Properties
- volume (Å³/cell) = 420.3
- magnetization (μB per formula unit) = 0.00


No. 3
Here is a relaxed structure of Sn2P2O7 from the Materials Project database. Energies are from PBE-GGA.

Cell and atoms, written as CIF:
```
data_Sn2P2O7
_symmetry_space_group_name_H-M 'P -1'
_symmetry_Int_Tables_number 2
_symmetry_space_group_name_Hall '-P 1'
_cell_length_a 5.391
_cell_length_b 11.770
_cell_length_c 11.881
_cell_angle_alpha 102.18
_cell_angle_beta 99.14
_cell_angle_gamma 98.74
loop_
_atom_site_label
_atom_site_fract_x
_atom_site_fract_y
_atom_site_fract_z
Sn1 0.169 0.349 0.476
Sn2 0.228 0.864 0.968
Sn3 0.269 0.999 0.643
Sn4 0.315 0.556 0.132
P1 0.175 0.220 0.851
P2 0.205 0.769 0.355
P3 0.287 0.616 0.754
P4 0.313 0.173 0.244
O1 0.045 0.770 0.083
O2 0.081 0.251 0.725
O3 0.113 0.583 0.631
O4 0.148 0.756 0.475
O5 0.149 0.181 0.339
O6 0.157 0.125 0.119
O7 0.174 0.691 0.846
O8 0.242 0.097 0.821
O9 0.339 0.671 0.302
O10 0.344 0.894 0.361
O11 0.353 0.504 0.787
O12 0.412 0.316 0.913
O13 0.439 0.312 0.257
O14 0.466 0.893 0.738
```

## Properties
- volume (Å³/cell) = 713.9
- excess energy over the best structure of this formula in the dataset (meV per atom) = 0


No. 4
Here is a relaxed structure of Sn5P2O10 from the Materials Project database. Energies are from PBE-GGA.

Cell and atoms, written as CIF:
```
data_Sn5P2O10
_symmetry_space_group_name_H-M 'P -1'
_symmetry_Int_Tables_number 2
_symmetry_space_group_name_Hall '-P 1'
_cell_length_a 7.290
_cell_length_b 7.323
_cell_length_c 13.236
_cell_angle_alpha 87.92
_cell_angle_beta 86.08
_cell_angle_gamma 61.82
loop_
_atom_site_label
_atom_site_fract_x
_atom_site_fract_y
_atom_site_fract_z
Sn1 0.006 0.303 0.332
Sn2 0.068 0.761 0.369
Sn3 0.193 0.197 0.879
Sn4 0.326 0.695 0.124
Sn5 0.437 0.784 0.640
P1 0.062 0.802 0.896
P2 0.471 0.243 0.623
O1 0.068 0.701 0.213
O2 0.083 0.706 0.006
O3 0.108 0.626 0.820
O4 0.108 0.913 0.646
O5 0.168 0.028 0.112
O6 0.223 0.882 0.878
O7 0.312 0.477 0.613